The Challenge
For one of our clients, Affidea, a leading provider of diagnostic imaging solutions, we have recently executed a project that was challenging both in terms of its content and its scope as it included translation, revision and client review of 88 clinical policy documents and 55 GDPR policy documents into 15 languages: Bosnian, Croatian, Czech, French, Greek, German, Hungarian, Italian, Lithuanian, Polish, Portuguese, Serbian, Slovakian, Spanish and Turkish. The total wordcount was 2,400,402.80 net, or approximately 148,000 net per language, with a comparatively short deadline.
The Solution
Phase One: Project Setup
Right from the start, it was clear that this project would have to be executed in a cloud CAT environment. The review by the client’s subject-matter experts (SMEs) was an integral part of the process and they had to be trained to use a CAT tool, so we opted for Memsource due to its flexibility and ease of use. After the completion of the technical preparation phase and CAT training for the SMEs, the materials were first split into two sub-projects on the basis of the source material topics – translation of GDPR policies was assigned to one project manager and translation of clinical policies was assigned to another.
Before the main translation part took off, it was necessary to develop terminology bases with translations of specific medical, technical and legal terms in all 15 languages. Once the terms were extracted, translated and approved by the client’s SMEs, the project could begin.
Phase Two: Agile Translation
The sheer wordcount demanded splitting the materials into batches, which enabled work in iterations: as soon as translation of any of the five batches was approved by the client, it was immediately implemented and used as a blueprint for the subsequent batches.
Due to the short delivery deadline, some stages of the project overlapped. This was possible thanks to the use of cloud-based CAT technology, which allowed the editors to start editing a document as soon as it was completed by a translator, instead of waiting for all documents to be translated. This approach saved a lot of time in advance and ensured a better output quality.
The linguist teams for each of the language pairs were chosen on the basis of their previous experience in medical and GDPR-related translation experience and their overall track record and every translated document was reviewed by a second linguist team and a QA check was performed before the SME review, with the only major step remaining after the SME review the linguistic validation – the linguists checked and implemented the SME changes in documents.
Unrelated to this article: molecular data
=====
<one>
Molecular formula: C4H5NOS
Method: DFT, wB97M-V/def2-TZVPD

Geometry as XYZ:
```
12
C4H5NOS wB97M-V/def2-TZVPD
S -0.309 1.512 0.990
O 0.732 -1.569 -1.135
N 0.703 0.329 0.111
C 2.195 0.516 -0.019
C -2.497 -1.226 -0.416
C -1.383 -0.888 -0.552
C 0.109 -0.755 -0.521
H 2.454 1.291 -1.006
H -0.531 0.578 2.045
H 2.669 0.726 1.084
H -3.499 -1.770 -0.173
H 2.521 -0.645 -0.432
```

Computed properties:
- SMILES: C#CC(=O)N(C)S
- HOMO: -0.3478 hartree

Atomic partial charges in e from the Mulliken method, atoms 1 to 2: S -0.139; O -0.545

<two>
Molecular formula: C4H5NOS
Method: DFT, wB97M-V/def2-TZVPD

Geometry as XYZ:
```
12
C4H5NOS wB97M-V/def2-TZVPD
S -0.442 -1.538 -0.205
O 2.040 -2.025 0.042
N -1.334 -0.142 0.130
C 1.156 1.408 -0.276
C 1.306 -1.053 0.010
C -2.589 -0.276 0.112
C 1.745 0.312 0.176
H 2.692 0.315 0.713
H 1.625 2.383 -0.195
H -3.087 -1.208 -0.167
H -3.310 0.489 0.423
H 0.199 1.334 -0.761
```

Computed properties:
- SMILES: C=CC(=O)SN=C
- HOMO: -0.3419 hartree

Atomic partial charges in e from the Mulliken method, atoms 1 to 2: S 0.012; O -0.513

Of them, <one> has the lowest stability.

=====

Entry 1:
{
  "formula": "C6H10",
  "method": "wB97M-V/def2-TZVPD",
  "species": ["C", "C", "C", "C", "C", "C", "H", "H", "H", "H", "H", "H", "H", "H", "H", "H"],
  "xyz": [[-0.74, -0.81, -0.72], [-1.25, 1.17, 0.46], [0.19, 0.31, -1.14], [-0.11, 1.39, -0.22], [-1.78, -0.21, 0.25], [2.25, -0.45, 0.28], [2.71, -1.43, 0.10], [-1.92, -0.74, 1.20], [-1.77, 1.92, 1.06], [-0.17, -1.63, -0.27], [1.51, -0.53, 1.09], [0.46, 2.32, -0.18], [-2.77, -0.18, -0.24], [1.76, -0.15, -0.68], [2.99, 0.31, 0.52], [-1.19, -1.24, -1.62]],
  "nbo_charge": [-0.562, -0.055, 0.050, -0.373, -0.478, -0.822, 0.215, 0.222, 0.209, 0.253, 0.204, 0.219, 0.229, 0.234, 0.216, 0.239],
  "spin_multiplicity": 1,
  "energy_ev": -6380.088,
  "e_above_lowest_kcal_mol": 87.0,
  "homo_ev": -7.88,
  "orbital_gap_ev": 7.900,
  "max_force_ha_per_bohr": 0.00813
}

Entry 2:
{
  "formula": "C4H5BrN2",
  "method": "wB97M-V/def2-TZVPD",
  "species": ["Br", "N", "N", "C", "C", "C", "C", "H", "H", "H", "H", "H"],
  "xyz": [[3.19, -0.22, 0.08], [-1.60, 0.40, -0.12], [1.28, 0.20, 0.46], [-1.12, -0.82, -0.41], [-0.32, -1.51, 0.34], [-0.81, 1.35, 0.14], [0.72, 1.21, -0.03], [-1.55, -1.03, -1.41], [1.31, 1.79, -0.70], [-1.04, 2.42, 0.34], [-0.18, -1.40, 1.42], [0.11, -2.39, -0.10]],
  "nbo_charge": [0.075, -0.361, -0.388, -0.083, -0.359, 0.079, -0.016, 0.217, 0.199, 0.196, 0.227, 0.213],
  "spin_multiplicity": 1,
  "smiles": "C=C/N=C\\C=N\\Br",
  "energy_ev": -77247.859,
  "e_above_lowest_kcal_mol": 79.6,
  "homo_ev": -8.51,
  "orbital_gap_ev": 8.467,
  "max_force_ha_per_bohr": 0.05957
}

Entry 3:
{
  "formula": "C11H13N2O",
  "method": "wB97M-V/def2-TZVPD",
  "species": ["O", "N", "N", "C", "C", "C", "C", "C", "C", "C", "C", "C", "C", "C", "H", "H", "H", "H", "H", "H", "H", "H", "H", "H", "H", "H", "H"],
=====
So much for the molecular data
This step was followed by a final QA check and export/technical editing of the translated materials in the native formats for delivery.

## Misplaced records of molecules
........
Record 1
78
Properties=species:S:1:pos:R:3:forces:R:3 method="wB97M-V/def2-TZVPD" max_force_ev_per_a=0.85 e_tot_ev=-43046.6615 e_homo_ev=-9.29 smiles="CC(C)(O)CC[C@@H](O)[C@](C)(O)[C@H]1CC[C@@]2(O)C3=CC(=O)[C@@H]4C[C@@H](O)[C@@H](O)C[C@]4(C)[C@H]3CC[C@]12C" de_lowest_ev=0.2017 homo_lumo_gap_ev=9.7
C -5.661586 -3.733521 0.322289 0.13 0.37 0.06
H -6.547998 -3.958533 -0.263779 -0.13 -0.07 -0.06
H -4.781834 -4.018980 -0.249725 0.07 -0.02 -0.07
H -5.690334 -4.327365 1.235215 -0.03 -0.08 0.10
C -5.603283 -2.236279 0.652941 -0.72 -0.35 -0.29
C -6.781496 -1.872627 1.566844 0.35 0.03 -0.18
H -6.755479 -0.816864 1.823064 -0.02 0.11 0.04
H -6.734577 -2.448246 2.490422 -0.01 -0.06 0.09
H -7.724169 -2.089910 1.072976 -0.15 -0.04 -0.03
C -5.652860 -1.430714 -0.658532 0.21 0.04 0.37
H -6.665561 -1.510733 -1.055133 -0.01 -0.10 -0.03
H -4.969652 -1.886967 -1.376790 -0.09 -0.07 -0.07
C -5.263438 0.042317 -0.513732 0.30 -0.30 -0.12
H -5.569338 0.412992 0.460039 -0.10 0.13 0.07
H -5.762901 0.636025 -1.281719 -0.02 0.09 0.07
C -3.747344 0.211177 -0.685287 -0.26 0.57 0.40
H -3.251343 -0.462255 0.012344 0.02 0.13 0.00
O -3.357416 -0.195196 -1.975689 0.05 -0.10 -0.43
H -3.778181 0.419187 -2.591032 0.05 -0.01 -0.06
C -3.270407 1.662838 -0.419335 0.31 -0.49 0.11
C -3.709831 2.122345 0.973944 0.02 -0.04 -0.29
H -3.126601 2.966758 1.330995 0.05 0.06 0.08
H -4.749617 2.439015 0.922316 -0.06 -0.04 0.02
H -3.630015 1.312363 1.690134 0.02 -0.08 0.18
O -3.945339 2.448268 -1.409222 -0.12 0.11 -0.16
H -3.741770 3.375299 -1.251486 0.00 0.03 -0.06
C -1.751522 1.784546 -0.733086 -0.12 -0.04 -0.07
H -1.702304 1.482517 -1.786450 0.00 0.07 0.13
C -0.691830 0.927229 0.002177 0.02 -0.12 -0.32
C -0.495065 -0.495476 -0.523903 0.01 -0.02 0.05
H -1.376268 -1.108182 -0.346042 -0.06 -0.05 -0.02
C 0.705747 -1.152049 0.157348 -0.01 0.12 -0.20
H 0.468035 -1.303608 1.207749 0.04 -0.10 0.07
H 0.862961 -2.132665 -0.293049 0.01 -0.08 0.09
C 2.008035 -0.337313 0.019405 0.18 -0.24 0.02
C 1.799383 1.113272 0.353198 0.25 0.25 -0.11
C 2.652526 1.843151 1.077395 -0.56 0.22 -0.05
C 3.922766 1.317715 1.563256 0.41 -0.56 0.02
O 4.615282 1.885720 2.380903 -0.05 0.10 -0.02
C 4.360277 0.033276 0.883558 0.05 0.10 -0.06
C 4.952016 0.379804 -0.490042 0.23 -0.27 0.02
H 4.204062 0.878839 -1.106122 -0.04 0.05 -0.07
C 5.447335 -0.872872 -1.214508 -0.64 0.23 -0.43
O 6.599792 -1.433369 -0.618006 0.26 -0.16 0.34
H 6.455823 -1.486159 0.334148 0.09 -0.02 -0.02
C 4.339155 -1.942546 -1.310127 0.17 0.24 0.30
O 4.869662 -3.122508 -1.864342 0.17 -0.30 -0.15
H 5.782773 -3.194527 -1.548082 -0.13 0.02 0.00
C 3.718466 -2.222490 0.067956 -0.03 0.25 -0.35
H 2.917409 -2.950507 -0.062496 0.01 -0.09 0.05
H 4.477909 -2.698931 0.695368 0.02 -0.05 0.05
C 3.196099 -0.967737 0.785977 0.13 -0.19 0.18
C 2.799970 -1.354367 2.218448 0.04 0.06 -0.23
H 2.299061 -0.527561 2.716916 -0.12 0.06 0.15
H 3.687426 -1.601206 2.798303 0.10 -0.02 0.04
H 2.148751 -2.223892 2.226982 -0.11 -0.06 0.04
H 3.568641 -1.603508 -2.009733 0.07 0.08 0.07
........
## Back to the page
Workflow Structure
The Result
The agile approach enabled us to harmonize the work of numerous teams and produce a complex and voluminous translation project within a short turnaround frame.
Involvement of local SMEs who would be using the documents from the earliest stages of the project enabled us to develop and consistently implement verified terms across the files and served as an additional quality assurance layer.
Development of translation assets and smart use CAT infrastructure meant that translation costs were cut for more than 20% and delivered on time.